The charter school problem: Results are much less positive than a new study suggests:
"Charter schools are not a panacea for our education problems. The recent study by Caroline Hoxby of Stanford University concludes that disadvantaged students who attended charter schools in New York City for nine years, from kindergarten through eighth grade, can close most of what she calls the 'Scarsdale-Harlem achievement gap.' Hoxby does not say how many students completed nine years in a charter school - a key detail, as the city had only about a dozen small charters in 2000."
Unrelated to this piece: data records
'''
# 1
C16H26CuN2O10 | ωB97M-V/def2-TZVPD

## Properties
net charge = -2
LUMO level (alpha / beta) = 3.3 / 3.3 eV
gap between HOMO and LUMO (alpha / beta) = 4.7 / 4.6 eV
2S+1 = 2

```
55
Properties=species:S:1:pos:R:3:mulliken_spin:R:1
Cu -0.54236 1.89822 0.13340 0.818
C 0.65370 -6.11833 -2.21199 0.000
C 1.03052 -5.56283 -0.84297 0.000
N 0.97160 -4.14288 -0.70091 0.000
C -0.15816 -3.37475 -0.97296 -0.001
C 0.10511 -2.09857 -0.62346 -0.001
N 1.45768 -2.08293 -0.30904 0.000
C 1.95179 -3.29817 -0.37844 0.000
C 2.12611 -0.86557 0.16605 0.001
H -0.42848 -6.02106 -2.36024 0.000
H 0.90886 -7.15247 -2.42113 0.000
H 0.99748 -5.47998 -3.03238 0.000
H 1.98736 -6.02314 -0.59260 0.000
H 0.34940 -6.03434 -0.12951 0.000
H -1.00803 -3.93807 -1.31587 0.000
H -0.49149 -1.18753 -0.49498 0.001
H 2.96993 -3.53876 -0.12567 0.000
H 2.64325 -1.11921 1.08990 0.000
H 1.32659 -0.19336 0.34398 -0.001
H 2.83634 -0.49989 -0.56983 0.000
C -1.02501 1.00149 -3.83016 -0.002
C -1.01439 1.21071 -2.33923 -0.006
O -0.31972 0.46998 -1.59233 0.019
O -1.54124 2.21803 -1.81531 0.040
H -1.93924 1.33946 -4.31923 0.000
H -0.89680 -0.05571 -4.06742 0.001
H -0.21048 1.57718 -4.27177 0.000
C 2.72538 2.03507 2.83589 0.001
C 1.24037 1.81997 3.09726 0.001
O 0.80791 1.73638 4.26033 0.006
O 0.52773 1.50139 2.09339 0.014
H 3.20247 1.17310 2.36897 0.000
H 3.30808 2.34995 3.70512 -0.001
H 2.77540 2.86883 2.13129 0.000
C 2.87197 4.42131 -0.04396 -0.001
C 1.69997 3.48302 -0.28126 0.002
O 1.87621 2.24436 -0.38164 0.003
O 0.54957 3.97691 -0.24879 0.001
H 3.55418 4.20364 -0.88303 0.000
H 3.53306 4.20550 0.79543 0.000
H 2.58992 5.46985 -0.06352 0.000
C -3.72925 4.03975 2.31769 0.012
C -2.63171 2.98371 2.29829 -0.004
O -2.65898 2.07358 3.11291 0.000
O -1.86267 3.05894 1.27492 0.095
H -3.42311 4.87426 2.96073 0.000
H -4.69369 3.69139 2.69695 0.001
H -4.00081 4.48859 1.35750 -0.001
C -3.29860 -1.24043 -0.23967 0.000
C -2.56151 -0.97533 1.07277 0.000
O -3.01711 -1.36856 2.15451 0.000
O -1.49183 -0.29988 0.92487 0.000
H -2.91416 -2.03732 -0.87991 0.000
H -3.35009 -0.30100 -0.79988 0.000
H -4.36902 -1.40451 -0.05303 0.000
```

=====

# 2
C3H2Br2O | ωB97M-V/def2-TZVPD

## Properties
LUMO level (alpha / beta) = -3.1 / -1.8 eV
gap between HOMO and LUMO (alpha / beta) = 5.1 / 7.9 eV

```
8
Properties=species:S:1:pos:R:3:lowdin_charge:R:1
C 0.04457 0.13844 0.24691 -0.059
C 0.19967 -0.65969 1.38212 -0.559
C -0.32422 -1.83587 1.83961 -0.188
O -0.94120 -2.77896 2.17305 0.225
Br 1.46019 -0.12240 2.93728 0.654
Br -1.34763 2.79267 -0.59253 -0.140
H 0.68750 0.96276 -0.09695 0.030
H -0.70415 -0.26401 -0.35441 0.036
```

=====

# 3
C8H12 | ωB97M-V/def2-TZVPD

## Properties
structure (SMILES) = C1C[C@@H]2[C@H]1C[C@@H]1C[C@H]12
LUMO level = 1.2 eV
gap between HOMO and LUMO = 9.5 eV

```
20
Properties=species:S:1:pos:R:3:lowdin_charge:R:1
C -1.71546 0.16141 0.73253 -0.169
C -1.91488 0.20870 -0.80347 -0.152
C -0.46575 -0.16658 -1.01267 -0.211
C -0.51435 -0.82318 0.55184 -0.190
C 0.86869 -0.54414 1.28509 -0.107
'''
End of the data records
The results are impressive, but they are not typical of charter schools across the nation.
Nationally there are about 4,600 charter schools enrolling 1.4 million students. They run the gamut from excellent to abysmal. Even their most ardent supporters recognize that they vary widely in quality. Chester Finn, whose Thomas B. Fordham Institute sponsors charter schools in Ohio, wrote, "Some of the best schools I've ever been in are charter schools, some of which are blowing the lid off test scores in such vexed communities as Boston, New York and Chicago. And some of the worst - and flakiest - schools I've ever been in are charter schools."
A national study conducted by Stanford University economist Margaret Raymond found that 37% of charter schools got worse results than comparable neighborhood public schools, 46% did about the same and only 17% were superior to the local public schools. The Raymond study surveyed half the charter schools in the nation and more than 70% of all charter school students. Raymond said, "If this study shows anything, it shows that we've got a 2-to-1 margin of bad charters to good charters."
Unlike the Hoxby study, the Raymond study concluded: "This study reveals in unmistakable terms that, in the aggregate, charter students are not faring as well as their TPS [traditional public school] counterparts. Further, tremendous variation in academic quality among charters is the norm, not the exception. The problem of quality is the most pressing issue that charter schools and their supporters face."
Charter schools have participated in the federal testing program since 2003. Charter school students have never outperformed students in regular public schools, except in isolated instances. In 2007, charter students had lower scores than students in regular public schools in fourth-grade reading, fourth-grade mathematics and eighth-grade mathematics. Only in eighth-grade reading did charter school students score the same as their peers in regular public schools. Education Week reported that "the latest data do not bolster the early hopes of charter advocates that the sector as a whole would significantly outperform regular public schools."
Read more: http://www.nydailynews.com/opinions/2009/09/27/2009-09-27_the_charter_school_problem_results_are_much_less_positive_than_a_new_study_sugge.html#ixzz0VWslDpSB
"Charter schools are not a panacea for our education problems. The recent study by Caroline Hoxby of Stanford University concludes that disadvantaged students who attended charter schools in New York City for nine years, from kindergarten through eighth grade, can close most of what she calls the 'Scarsdale-Harlem achievement gap.' Hoxby does not say how many students completed nine years in a charter school - a key detail, as the city had only about a dozen small charters in 2000."
The results are impressive, but they are not typical of charter schools across the nation.
Nationally there are about 4,600 charter schools enrolling 1.4 million students. They run the gamut from excellent to abysmal. Even their most ardent supporters recognize that they vary widely in quality. Chester Finn, whose Thomas B. Fordham Institute sponsors charter schools in Ohio, wrote, "Some of the best schools I've ever been in are charter schools, some of which are blowing the lid off test scores in such vexed communities as Boston, New York and Chicago. And some of the worst - and flakiest - schools I've ever been in are charter schools."
A national study conducted by Stanford University economist Margaret Raymond found that 37% of charter schools got worse results than comparable neighborhood public schools, 46% did about the same and only 17% were superior to the local public schools. The Raymond study surveyed half the charter schools in the nation and more than 70% of all charter school students. Raymond said, "If this study shows anything, it shows that we've got a 2-to-1 margin of bad charters to good charters."
Unlike the Hoxby study, the Raymond study concluded: "This study reveals in unmistakable terms that, in the aggregate, charter students are not faring as well as their TPS [traditional public school] counterparts. Further, tremendous variation in academic quality among charters is the norm, not the exception. The problem of quality is the most pressing issue that charter schools and their supporters face."
Charter schools have participated in the federal testing program since 2003. Charter school students have never outperformed students in regular public schools, except in isolated instances. In 2007, charter students had lower scores than students in regular public schools in fourth-grade reading, fourth-grade mathematics and eighth-grade mathematics. Only in eighth-grade reading did charter school students score the same as their peers in regular public schools. Education Week reported that "the latest data do not bolster the early hopes of charter advocates that the sector as a whole would significantly outperform regular public schools."
Read more: http://www.nydailynews.com/opinions/2009/09/27/2009-09-27_the_charter_school_problem_results_are_much_less_positive_than_a_new_study_sugge.html#ixzz0VWslDpSB